(Material)
+++
Here is a cluster of 2 separate species, C7H12O3 in total from the Open Molecules 2025 dataset. Energies are from wB97M-V/def2-TZVPD.

As for the SMILES: CC(C)(O)C=O.C=CC=O. For the HOMO-LUMO gap, the calculation gives 8.75 eV. For the HOMO energy, the calculation gives -9.29 eV. Its energy above the lowest of the compared OMol25 structures with the same formula, charge and spin is 1.685 eV. The total energy comes out at -13594.3894 eV. The lowest unoccupied orbital energy comes out at -0.54 eV.

Last column: Mulliken charge in e.
CARTESIAN COORDINATES (ANGSTROEM)
C: -0.8919 -1.0851 -0.7450  -1.236
C: -1.3220 0.1882 -0.0246  1.449
C: -2.7717 0.1016 0.4628  -1.690
O: -1.1901 1.3266 -0.8016  -0.631
C: -0.4627 0.3628 1.3447  -0.327
O: -0.0050 -0.5447 1.9780  -0.481
H: -1.5477 -1.2562 -1.5993  0.399
H: -0.9493 -1.9365 -0.0698  0.313
H: 0.1311 -0.9893 -1.1022  0.098
H: -3.0313 0.9974 1.0228  0.391
H: -3.4242 0.0388 -0.4078  0.427
H: -2.9164 -0.7760 1.0878  0.358
H: -0.2279 1.5776 -0.8757  0.516
H: -0.6068 1.3784 1.7707  0.454
C: 2.6900 -0.7028 -1.1516  -0.808
C: 2.5895 -0.2589 0.0993  0.013
C: 1.9960 1.0451 0.4059  0.025
O: 1.4302 1.7608 -0.4095  -0.644
H: 3.0704 -1.6842 -1.3831  0.291
H: 2.3551 -0.0933 -1.9776  0.299
H: 2.8952 -0.8606 0.9453  0.344
H: 2.1893 1.4103 1.4305  0.443

Forces on atoms 1 to 6 (eV/Å):
-0.18 0.20 0.07
1.15 -0.64 1.64
0.34 0.10 -0.22
0.78 0.96 -0.45
-2.55 -0.34 -1.00
0.57 -0.03 -0.04

Here is an isolated molecule of C5H6O from the Open Molecules 2025 dataset. Energies are from wB97M-V/def2-TZVPD.

As for the SMILES: C#CC[C@@H]1CO1. For the HOMO-LUMO gap, the calculation gives 11.15 eV. For the HOMO energy, the calculation gives -10.09 eV. Its energy above the lowest of the compared OMol25 structures with the same formula, charge and spin is 2.999 eV. The total energy comes out at -7326.2854 eV. The lowest unoccupied orbital energy comes out at 1.06 eV.

Last column: Mulliken charge in e.
CARTESIAN COORDINATES (ANGSTROEM)
C: -2.3500 -1.4534 0.2798  0.144
C: -1.5047 -0.6328 0.5349  -0.408
C: -0.4540 0.2966 0.7483  -0.667
C: 0.4016 0.3874 -0.5202  -0.008
C: 1.8322 -0.0808 -0.5390  -0.412
O: 1.4968 1.3066 -0.3650  -0.402
H: -3.0811 -2.2322 0.0504  0.382
H: 0.2131 0.0959 1.6073  0.293
H: -0.9059 1.2343 0.8750  0.231
H: -0.1696 0.3952 -1.4759  0.369
H: 2.1772 -0.6598 0.3434  0.223
H: 2.2413 -0.3883 -1.5030  0.257

Forces on atoms 1 to 6 (eV/Å):
-0.16 -0.31 -0.07
-1.42 -2.04 -0.04
1.86 -0.32 -0.71
1.02 -0.04 0.08
-1.62 -0.30 0.47
-0.02 -0.77 -0.50

Here is a cluster of 2 separate species, C2H2N3P in total from the Open Molecules 2025 dataset. Energies are from wB97M-V/def2-TZVPD.

For the HOMO-LUMO gap (alpha / beta), the calculation gives 7.31 / 7.44 eV. For the HOMO energy (alpha / beta), the calculation gives -10.81 / -10.66 eV. Its energy above the lowest of the compared OMol25 structures with the same formula, charge and spin is 5.546 eV. The total energy comes out at -15859.1563 eV. The lowest unoccupied orbital energy (alpha / beta) comes out at -3.50 / -3.22 eV.

Last column: Mulliken charge in e.
CARTESIAN COORDINATES (ANGSTROEM)
C: 1.1249 1.3646 -0.1216  0.457
C: 0.7561 -1.5600 0.0687  0.139
N: 1.9207 2.2079 -0.2748  -0.367
N: 0.7376 -2.6853 -0.0737  -0.310
N: 0.1882 0.5117 0.1906  -0.148
P: -1.3792 0.5761 0.0669  -0.027
H: -1.8290 -0.3547 1.2287  0.142
H: -1.5193 -0.0603 -1.0847  0.116

Forces on atoms 1 to 6 (eV/Å):
1.44 1.01 0.03
-0.08 5.06 0.28
-0.89 -1.10 -0.04
-0.07 -2.61 -0.27
3.06 -2.46 0.66
-2.99 0.39 3.13

~~~~~

1.
{
  "formula": "C60H77N4O",
  "method": "ωB97M-V/def2-TZVPD",
  "charge": 1,
+++

(Brief)
Now echo every line further up that contains the word "wB97M-V".

(Reply)
Here is a cluster of 2 separate species, C7H12O3 in total from the Open Molecules 2025 dataset. Energies are from wB97M-V/def2-TZVPD.
Here is an isolated molecule of C5H6O from the Open Molecules 2025 dataset. Energies are from wB97M-V/def2-TZVPD.
Here is a cluster of 2 separate species, C2H2N3P in total from the Open Molecules 2025 dataset. Energies are from wB97M-V/def2-TZVPD.